The reader should work out how many lines further down have the word "PBE" in them; a number is enough.

- - -
# Tb3Ni7P5 GGA-PBE optimized geometry
# - ΔH_f (0 K) (eV/atom) = -0.982
# - total DFT energy (no corrections) (eV per atom) = -6.41
data_Tb3Ni7P5
_chemical_formula_sum 'Tb12 Ni28 P20'
_cell_length_a 16.327
_cell_length_b 3.816
_cell_length_c 16.330
_cell_angle_alpha 90.00
_cell_angle_beta 119.94
_cell_angle_gamma 90.00
_symmetry_space_group_name_H-M 'P 1 m 1'
_symmetry_Int_Tables_number 6
loop_
_symmetry_equiv_pos_as_xyz
'x,y,z'
'x,-y,z'
loop_
_atom_site_label
_atom_site_type_symbol
_atom_site_fract_x
_atom_site_fract_y
_atom_site_fract_z
Tb1 Tb 0.000 0.000 0.000
Tb2 Tb 0.028 0.500 0.325
Tb3 Tb 0.084 0.500 0.589
Tb4 Tb 0.203 0.000 0.940
Tb5 Tb 0.260 0.000 0.205
Tb6 Tb 0.288 0.500 0.530
Tb7 Tb 0.408 0.000 0.886
Tb8 Tb 0.468 0.000 0.149
Tb9 Tb 0.522 0.000 0.407
Tb10 Tb 0.764 0.500 0.120
Tb11 Tb 0.819 0.500 0.381
Tb12 Tb 0.880 0.500 0.643
Ni1 Ni 0.076 0.000 0.211
Ni2 Ni 0.090 0.500 0.779
Ni3 Ni 0.132 0.000 0.480
Ni4 Ni 0.156 0.500 0.050
Ni5 Ni 0.197 0.000 0.750
Ni6 Ni 0.210 0.500 0.318
Ni7 Ni 0.299 0.500 0.722
Ni8 Ni 0.340 0.000 0.419
Ni9 Ni 0.359 0.500 0.992
Ni10 Ni 0.393 0.000 0.691
Ni11 Ni 0.417 0.500 0.253
Ni12 Ni 0.465 0.500 0.519
Ni13 Ni 0.553 0.000 0.826
Ni14 Ni 0.575 0.500 0.942
Ni15 Ni 0.584 0.000 0.617
Ni16 Ni 0.601 0.000 0.068
Ni17 Ni 0.630 0.500 0.198
Ni18 Ni 0.658 0.000 0.332
Ni19 Ni 0.685 0.500 0.462
Ni20 Ni 0.717 0.000 0.587
Ni21 Ni 0.731 0.500 0.705
Ni22 Ni 0.791 0.000 0.853
Ni23 Ni 0.821 0.000 0.015
Ni24 Ni 0.870 0.000 0.276
Ni25 Ni 0.895 0.500 0.838
Ni26 Ni 0.929 0.000 0.538
Ni27 Ni 0.946 0.500 0.110
Ni28 Ni 0.988 0.000 0.807
P1 P 0.034 0.000 0.691
P2 P 0.052 0.500 0.896
P3 P 0.108 0.500 0.155
P4 P 0.180 0.000 0.374
P5 P 0.235 0.000 0.634
P6 P 0.253 0.500 0.838
P7 P 0.310 0.500 0.098
P8 P 0.366 0.500 0.357
P9 P 0.437 0.000 0.581
P10 P 0.462 0.500 0.785
P11 P 0.512 0.500 0.042
P12 P 0.570 0.500 0.301
P13 P 0.619 0.500 0.558
P14 P 0.667 0.000 0.971
P15 P 0.717 0.000 0.228
P16 P 0.775 0.000 0.487
P17 P 0.827 0.000 0.742
P18 P 0.845 0.500 0.947
P19 P 0.920 0.000 0.173
P20 P 0.977 0.000 0.431

=====

## MgCo4O8 (PBE with a Hubbard U)

Data for MgCo4O8 after structural relaxation.

- total magnetization (μB per formula unit) = 6.0
- E (eV per atom) = -5.792
- relative energy among the computed polymorphs (meV/atom) = 60.4
- mass density (g/cm³) = 4.8
- ΔE_f (kJ per mole of atoms) = -131.6

Cell: 5.816 5.809 5.816 Å, 58.76 58.72 58.76°
Fractional coordinates of all 13 atoms:
O  0.704  0.249  0.247
O  0.288  0.755  0.755
O  0.755  0.288  0.755
Co  0.499  0.003  0.499
Co  0.878  0.878  0.878
Co  0.002  0.499  0.499
O  0.739  0.740  0.739
O  0.755  0.755  0.288
O  0.247  0.706  0.247
O  0.247  0.249  0.704
O  0.261  0.262  0.261
Co  0.499  0.499  0.002
Mg  0.121  0.123  0.121

=====

[1]
First-principles (PBE-GGA) data for an optimized crystal structure of CaRuO3, as listed in the Materials Project database.

Properties
Its space group is Pnma (62).

Lattice parameters (Å, degrees): 5.5940 7.7482 5.4289 90.00 90.00 90.00
Closest atoms and distances in Å follow each position.
Element x y z (fractional)
Ca 0.0572 0.2500 0.0143  6 O 2.32-2.59
Ca 0.4428 0.7500 0.5143  6 O 2.32-2.59
Ca 0.5572 0.2500 0.4857  6 O 2.32-2.59
Ca 0.9428 0.7500 0.9857  6 O 2.32-2.59
Ru 0.0000 0.0000 0.5000  6 O 2.01-2.03
Ru 0.0000 0.5000 0.5000  6 O 2.01-2.03
Ru 0.5000 0.0000 0.0000  6 O 2.01-2.03
Ru 0.5000 0.5000 0.0000  6 O 2.01-2.03
O 0.0272 0.7500 0.4040  2 Ru 2.01
O 0.2014 0.5493 0.8034  2 Ru 2.02-2.03
O 0.2014 0.9507 0.8034  2 Ru 2.02-2.03
O 0.2986 0.0493 0.3034  2 Ru 2.02-2.03
O 0.2986 0.4507 0.3034  2 Ru 2.02-2.03
O 0.4728 0.2500 0.9040  2 Ru 2.01
O 0.5272 0.7500 0.0960  2 Ru 2.01
O 0.7014 0.5493 0.6966  2 Ru 2.02-2.03
O 0.7014 0.9507 0.6966  2 Ru 2.02-2.03
O 0.7986 0.0493 0.1966  2 Ru 2.02-2.03
O 0.7986 0.4507 0.1966  2 Ru 2.02-2.03
O 0.9728 0.2500 0.5960  2 Ru 2.01

***

[2]
First-principles (PBE-GGA) data for an optimized crystal structure of CaRuO3, as listed in the Materials Project database.

Properties
- - -

1